Chapter Six


  Micki and Megan were walking in front of AJ and Nick on their way into the club.           

"Hey wanna dance?" two guys asked the two girls, just as they walked in.           

They looked at each other and smiled.           

"There with us bitch," AJ said coming up, Nick right behind him.     The two guys gave Nick and AJ a dirty look and walked off. AJ took Micki's hand and smiled at her, his mood turning better.  

"Let's dance baby," AJ said, puckering out his lower lip.   Micki took this as an oppurtunity to kiss AJ and kissed him softly.  

AJ smiled and responded by putting his tongue into her mouth, enjoying her sweet taste. (authors note: sweet like skittles {giggle} ) AJ rested his hands on Micki's butt, he loved the new outfit on her.        

 AJ and Micki stopped kissing and looked over to where Megan and Nick were standing and noticed they werent there anymore.         

"Let's dance baby," Micki said. Her and AJ walked out to the dance floor and began dancing real close. Micki's ass grinding AJ's manhood. She felt his erection and smiled. She turned around, wrapped her arms around his neck and continued to dance with him.         

  "I love you," AJ smiled.      

"I love you too," Micki replied.      

"Let's get a drink," AJ suggested.          

 Micki and AJ walked to the bar, where they saw Megan and Nick in a deep conversation.           

Micki sat next to Megan and AJ on the other side of Micki.    

"What can I get you miss?" the bartender asked.    

"Sex on the Beach please," Micki replied.    

"Make that two," AJ told him.          

 "It usually takes two to do that," Micki grinned. (authors note: I know I am cheesy, shut up)           

AJ smiled at her and kissed her.         

Megan noticed Micki was sitting next to her and smiled.  

"Hey you two," Megan beamed.         

"Hey," Micki said taking a sip of her drink.  

"I want you," AJ whispered in Micki's ear. She giggled and then realized Nick and Megan were staring at her.     She smiled and looked down at her folded hands.    

"I need you," AJ whispered.           

Micki giggled and looked at Megan and Nick. They were looking at her blankly.           

"I want you now," AJ whispered. Micki looked at him, a grin spread across his face, she couldnt help but smile.          

 "Let's go home," Micki whispered.           

AJ nodded and looked at Nick and Megan and smiled.  

  "We're going to go home," AJ told them.       

    "Ok," Nick and Megan said, giving them a weird look.  

  Micki and AJ practically ran out of the club and to the corvette.

# Here the text breaks off for records of molecules
- - -
# 1
A structure of composition C27H22CaN8O10S5. Source: OMol25; level of theory: wB97M-V/def2-TZVPD.

LUMO: 3.8 eV
E_HOMO: -1.56 eV
Relative energy (zero: lowest compared OMol25 entry of this formula, charge and spin): 117.55 kJ/mol
Spin multiplicity: 1
Total energy: -133364.56319 eV
Net charge: -2

Positions of all 73 atoms, in Å:
Ca: -0.150 1.683 -1.069
N: -3.859 0.471 1.899
C: -2.707 0.669 1.079
S: -2.914 1.898 -0.199
N: -1.659 -0.025 1.280
N: -0.648 -0.044 0.386
C: 0.617 -0.266 1.080
C: 0.501 -1.409 2.089
C: 0.609 -1.181 3.452
C: 0.431 -2.224 4.353
C: 0.155 -3.507 3.904
C: 0.069 -3.746 2.538
C: 0.242 -2.700 1.644
C: 1.719 -0.561 0.038
C: 2.807 -1.373 0.353
C: 3.783 -1.582 -0.599
C: 3.657 -0.994 -1.850
C: 2.548 -0.209 -2.086
N: 1.607 0.006 -1.167
H: -4.279 1.355 2.156
H: -3.566 -0.024 2.734
H: 0.862 -0.183 3.783
H: 0.519 -2.031 5.417
H: 0.020 -4.319 4.611
H: -0.125 -4.747 2.167
H: 0.189 -2.887 0.580
H: 2.898 -1.778 1.348
H: 4.648 -2.190 -0.361
H: 4.397 -1.138 -2.626
H: 2.388 0.261 -3.050
O: -5.877 3.141 -5.771
C: -4.982 2.789 -5.039
S: -5.186 1.722 -3.658
C: -3.486 1.649 -3.181
C: -2.589 2.389 -3.891
S: -0.905 2.614 -3.686
S: -3.295 3.280 -5.237
S: -3.103 0.583 -1.874
O: 0.716 -3.061 -2.644
C: -0.361 -2.279 -2.811
O: -0.389 -1.369 -3.593
C: -1.534 -2.621 -1.892
N: -1.352 -3.952 -1.299
C: -2.049 -4.927 -2.161
C: -2.927 -4.125 -3.149
C: -2.857 -2.675 -2.655
H: -1.513 -1.849 -1.114
H: -1.726 -3.957 -0.360
H: 0.454 -3.700 -1.946
H: -2.632 -5.613 -1.545
H: -1.315 -5.526 -2.704
H: -3.952 -4.497 -3.176
H: -2.526 -4.204 -4.161
H: -3.676 -2.452 -1.970
H: -2.882 -1.945 -3.462
O: 4.990 4.206 4.696
N: 4.324 5.018 4.070
O: 4.356 6.222 4.308
C: 3.402 4.528 3.071
C: 2.652 5.435 2.365
C: 1.767 4.963 1.407
C: 1.643 3.576 1.062
O: 0.938 3.177 0.092
C: 2.429 2.678 1.884
C: 3.284 3.147 2.842
N: 2.431 1.273 1.596
O: 3.117 0.554 2.458
O: 0.931 0.950 1.741
N: 0.972 5.970 0.724
O: 1.428 7.112 0.656
O: -0.068 5.646 0.186
H: 2.738 6.494 2.544
H: 3.851 2.410 3.391

# 2
A structure of composition C27H22Cl2FN5O2Ti. Source: OMol25; level of theory: wB97M-V/def2-TZVPD.

LUMO (spin up / spin down): -4.0 / -3.9 eV
E_HOMO (spin up / spin down): -9.72 / -9.72 eV
Relative energy (zero: lowest compared OMol25 entry of this formula, charge and spin): 0.00 kJ/mol
Spin multiplicity: 2
Total energy: -90775.72854 eV
Net charge: +1

Positions of all 60 atoms, in Å:
Ti: 11.239 9.627 8.476
N: 11.547 5.890 7.054
C: 10.252 5.647 7.496
C: 9.809 6.805 8.071
N: 10.810 7.750 8.018
C: 11.885 7.192 7.371
C: 13.053 7.999 7.024
N: 13.004 9.320 7.313
C: 14.328 9.809 7.204
C: 15.137 8.809 6.806
N: 14.356 7.676 6.667
H: 12.122 5.216 6.539
H: 9.722 4.736 7.208
H: 8.881 7.140 8.504
H: 14.525 10.858 7.384
H: 16.213 8.766 6.625
H: 14.712 6.721 6.489
F: 4.715 9.861 8.594
C: 6.028 10.014 8.269
C: 6.636 11.223 8.589
C: 7.931 11.433 8.197
C: 8.640 10.446 7.449
C: 10.073 10.673 7.191
C: 7.932 9.305 7.000
C: 6.645 9.042 7.465
H: 6.059 11.953 9.141
H: 8.508 12.293 8.515
H: 10.380 11.673 7.471
- - -

Chapter Five
Chapter Seven
I Said I Loved You But I Lied Index
AJ Fanfiction Index
BSB Fanfiction Index
Backstreet Island
